This April The Riverfront Theatre and Arts Centre are delighted to be supporting The Talking Shop©, a cultural and democratic information centre which comes to Newport city centre in partnership with Omidaze, Youth Cymru and Welsh Government.
The Talking Shop is a public space which explores the intersection between cultural and democratic participation one conversation at a time. Opening in Unit 9 Friars Walk, Tin Shed Theatre Co.'s multi-functional pop-up arts and community space, The Talking Shop© will create a face to face democratic and cultural engagement space and a shop window for creativity and democracy combined.
Inside The Talking Shop© there will be The Democracy Box© which supports young people to find new creative ways to understand our UK democracy and can take part in it.
These provide an opportunity for young people and artists to discuss and understand our UK democracy and politics. The Democracy Box© finds new creative ways to increase democratic participation, including amongst young people, and provide information about the UK’s democratic system and structures.
The Democracy Box© works predominantly with young people aged 16-26, born or based in Wales, as paid co-creators and seek to increase democratic participation and provide information about the UK’s democratic system and structures.
Yvonne Murphy from Omidaze (OhMyDays) Productions said
‘Omidaze is delighted to be partnering with The Riverfront and Newport Live and Youth Cymru and to have been awarded one of the third sector grants from the Local Democracy Division of the Welsh Government to trial new and innovative ways to increase democratic participation which will support the re-opening of The Talking Shop in Cardiff in March this year.
“We are very excited that the first trial secondary Talking Shop will be in Newport which will also open its doors in April ahead of the local elections and we would like to say our deep felt thanks to the Riverfront, Youth Cymru and Welsh Government for supporting and partnering on this work.’
Julia Griffiths, Joint CEO Youth Cymru adds:
‘We are delighted to be working with The Riverfront and The Talking Shop© to support voter registration in Wales; we are looking forward with gratitude to being a part of this creative, innovative and necessary work to promote democracy and cultural participation in Wales.’
The Riverfront were delighted to be approached to partner with this project and continue to support young people in the community. Newport has a passionate history for engaging with the democratic process and the arts centre believe by engaging in creative activity young people can truly find their voice.
Danielle Rowlands, The Riverfront’s Education and Participation Arts Development Officer comments:
**Between two parts of the page: calculated molecules**
/*
Molecular formula: C41H40CoN9O8PS
Method: DFT, the ωB97M-V functional and the def2-TZVPD basis

Computed properties:
Frontier orbital gap (spin up / spin down) ... 6.28 / 6.23 eV
Spin multiplicity ... 2
DFT total energy ... -130706.5532 eV
<S²> ... 0.758

Last column: Mulliken spin population.
Element x y z (Å)
Co -0.678 0.048 0.400  0.99
C 0.497 1.410 3.471  0.00
O -0.693 1.411 2.706  0.01
C -1.106 2.616 2.185  0.02
C -0.845 3.849 2.754  0.00
C -1.306 5.015 2.154  0.01
C -2.054 4.953 0.991  0.00
C -2.334 3.732 0.419  0.01
C -1.852 2.545 0.985  0.00
N -2.060 1.314 0.421  0.02
N -2.892 1.254 -0.586  -0.02
C -3.180 0.113 -1.208  -0.02
C -2.711 -1.167 -0.754  0.01
O -1.986 -1.225 0.341  -0.03
C -3.002 -2.316 -1.511  0.00
C -3.655 -2.227 -2.712  0.00
C -4.089 -0.981 -3.218  0.00
C -4.663 -0.851 -4.497  0.00
C -5.058 0.373 -4.975  0.00
C -4.899 1.522 -4.193  0.00
C -4.322 1.427 -2.952  0.00
C -3.900 0.190 -2.443  0.00
H 0.264 1.333 4.541  0.00
H 1.086 2.311 3.298  0.00
H 1.097 0.560 3.148  0.00
H -0.292 3.923 3.679  0.00
H -1.054 5.968 2.593  0.00
H -2.410 5.863 0.530  0.00
H -2.885 3.662 -0.504  0.00
H -2.623 -3.264 -1.157  0.00
H -3.810 -3.115 -3.309  0.00
H -4.758 -1.734 -5.114  0.00
H -5.488 0.461 -5.963  0.00
H -5.223 2.482 -4.573  0.00
H -4.171 2.299 -2.334  0.00
N 6.674 -2.020 -2.910  0.00
C 5.431 -2.154 -2.328  0.00
C 4.553 -3.153 -2.754  0.00
C 3.342 -3.336 -2.117  0.00
C 3.009 -2.517 -1.054  0.00
C 3.849 -1.504 -0.628  0.00
C 5.061 -1.325 -1.264  0.00
S 1.463 -2.708 -0.203  0.00
O 1.742 -2.748 1.230  0.00
O 0.773 -3.897 -0.652  0.00
N 0.617 -1.349 -0.460  0.00
C 0.334 -1.029 -1.715  0.00
N -0.398 0.103 -1.839  0.03
C -0.763 0.495 -3.039  0.01
C -0.422 -0.230 -4.171  0.00
C 0.348 -1.365 -3.951  0.00
N 0.746 -1.757 -2.760  0.00
H 6.780 -2.407 -3.834  0.00
H 7.136 -1.138 -2.765  0.00
H 4.833 -3.781 -3.588  0.00
H 2.638 -4.089 -2.432  0.00
H 3.533 -0.863 0.180  0.00
H 5.731 -0.541 -0.944  0.00
H -1.343 1.409 -3.087  0.00
H -0.730 0.076 -5.156  0.00
H 0.677 -1.992 -4.771  0.00
C 0.126 -4.558 3.679  0.00
N 0.404 -3.350 4.574  0.00
C -0.788 -3.135 5.481  0.00
N -1.988 -3.025 4.740  0.00
C -2.199 -4.234 3.960  0.00
N -1.117 -4.450 3.025  0.00
C -1.097 -3.468 1.954  0.01
P -0.753 -1.729 2.543  -0.01
C 0.643 -2.147 3.753  0.01
C -2.053 -1.822 3.913  0.01
H 0.137 -5.440 4.330  0.00
H 0.924 -4.596 2.933  0.00
H 1.239 -3.543 5.132  0.00
H -0.618 -2.221 6.060  0.00
H -0.851 -3.995 6.159  0.00
H -3.138 -4.147 3.413  0.00
H -2.260 -5.089 4.643  0.00
H -2.071 -3.454 1.463  0.00
H -0.356 -3.756 1.209  0.00
H 0.806 -1.301 4.423  0.00
H 1.526 -2.294 3.129  0.00
H -3.042 -1.778 3.456  0.00
H -1.950 -0.951 4.564  0.00
O 2.708 1.051 1.232  0.00
C 1.878 1.691 0.593  -0.01
O 0.670 1.366 0.369  -0.01
C 2.244 3.041 0.002  0.00
C 3.383 3.709 0.425  0.00
C 3.737 4.953 -0.091  0.00
C 2.917 5.482 -1.059  0.00
O 3.038 6.667 -1.744  0.00
C 1.999 6.662 -2.698  0.00
O 1.159 5.554 -2.477  0.00
C 1.777 4.807 -1.499  0.00
C 1.412 3.592 -0.980  0.00
H 4.007 3.244 1.174  0.00
*/
‘This is such a vital project for young people to get involved in and engage with. Our young people are the future and their voices need to be heard, yet many are not registering to vote. We hope that through this project young people gain more understanding of our democratic system and have more confidence to stand up and vote for what they believe in.’
Emily Mae Jones (18) Democracy Box© young co-creator said:
‘I wanted to learn more about democracy and politics but I could never find a clear explanation in a way I could understand until I joined this project. As well as developing my own knowledge I have the amazing pleasure of educating other people about UK Democracy and highlighting that there is absolutely no shame in not knowing - because I didn’t either.
My outlook has completely changed on UK Democracy. I finally feel confident instigating conversations about democracy and also just being involved in discussions.’
The Democracy Box© began as a Clwstwr research and development project 2020-21 and this ongoing work has been made possible through this initial investment from Clwstwr which is an innovation programme for the South Wales screen sector, funded by the Creative Industries Clusters Programme which is part of the UK Government’s Industrial Strategy.
The Talking Shop© will open in Unit 9, Friars Walk in April. Young people are encouraged to pop along to the space and engage with creativity and democracy. Find out more about the project here: